Tuesday, May 29, 2012

== Next to the text, the page also holds data records ==
┌──
The following is a PBE calculation of crystalline NaSm8Se12 at its relaxed geometry, from the Materials Project.

Summary:
Crystal system: tetragonal
Volume (Å³/atom): 24.9
SG: I-42d
Uncorrected energy (eV per atom): -5.679

Lattice parameters (Å, degrees): 14.722 14.722 14.722 145.00 145.00 50.34
Sites, in units of the cell vectors:
Na 0.000 0.000 0.000
Na 0.750 0.250 0.500
Sm 0.037 0.663 0.118
Sm 0.082 0.582 0.500
Sm 0.082 0.963 0.626
Sm 0.206 0.587 0.874
Sm 0.332 0.332 0.000
Sm 0.337 0.456 0.374
Sm 0.375 0.005 0.130
Sm 0.413 0.287 0.618
Sm 0.418 0.918 0.500
Sm 0.544 0.918 0.882
Sm 0.668 0.668 0.000
Sm 0.668 0.794 0.382
Sm 0.713 0.332 0.126
Sm 0.755 0.625 0.630
Sm 0.875 0.245 0.870
Sm 0.995 0.125 0.370
Se 0.008 0.612 0.252
Se 0.031 0.922 0.747
Se 0.034 0.426 0.753
Se 0.059 0.311 0.903
Se 0.061 0.309 0.403
Se 0.078 0.824 0.108
Se 0.176 0.284 0.253
Se 0.244 0.992 0.604
Se 0.342 0.939 0.248
Se 0.360 0.756 0.748
Se 0.362 0.258 0.752
Se 0.388 0.640 0.396
Se 0.390 0.638 0.896
Se 0.408 0.156 0.097
Se 0.506 0.610 0.248
Se 0.574 0.328 0.608
Se 0.672 0.281 0.247
Se 0.689 0.592 0.748
Se 0.691 0.094 0.752
Se 0.716 0.969 0.892
Se 0.719 0.966 0.392
Se 0.742 0.494 0.104
Se 0.844 0.941 0.252
Se 0.906 0.658 0.597

=====

! MgFe4P4O16 (PBE+U, relaxed); values from VASP
&SYSTEM
  ibrav = 0, nat = 25, ntyp = 4
/
ATOMIC_SPECIES
Mg 24.30 Mg.upf
Fe 55.84 Fe.upf
P 30.97 P.upf
O 16.00 O.upf
ATOMIC_POSITIONS crystal
Mg 0.000 0.000 0.000
Fe 0.143 0.498 0.274
Fe 0.503 0.599 0.756
Fe 0.716 0.090 0.729
Fe 0.954 0.101 0.328
P 0.261 0.004 0.645
P 0.477 0.143 0.110
P 0.688 0.495 0.435
P 0.951 0.656 0.932
O 0.037 0.634 0.095
O 0.040 0.016 0.537
O 0.103 0.080 0.791
O 0.183 0.557 0.826
O 0.249 0.057 0.131
O 0.379 0.307 0.184
O 0.412 0.551 0.372
O 0.421 0.821 0.680
O 0.454 0.101 0.582
O 0.584 0.163 0.944
O 0.660 0.443 0.607
O 0.713 0.588 0.921
O 0.733 0.032 0.189
O 0.838 0.627 0.405
O 0.881 0.843 0.887
O 0.888 0.347 0.350
CELL_PARAMETERS angstrom
5.279 0.000 0.000
2.541 8.110 0.000
0.820 0.638 8.853
! Polymorph energy (0 for the lowest one) (eV/atom): 0.032
! Raw total energy (eV/atom): -7.01

! Ca8Mn4Al4O21 (PBE+U, relaxed); values from VASP
&SYSTEM
  ibrav = 0, nat = 37, ntyp = 4
/
ATOMIC_SPECIES
Ca 40.08 Ca.upf
Mn 54.94 Mn.upf
Al 26.98 Al.upf
O 16.00 O.upf
ATOMIC_POSITIONS crystal
Ca 0.238 0.238 0.000
Ca 0.238 0.762 0.000
Ca 0.244 0.244 0.500
Ca 0.244 0.756 0.500
Ca 0.756 0.244 0.500
Ca 0.756 0.756 0.500
Ca 0.762 0.238 0.000
Ca 0.762 0.762 0.000
Mn 0.000 0.500 0.254
Mn 0.000 0.500 0.746
Mn 0.500 0.000 0.254
Mn 0.500 0.000 0.746
Al 0.000 0.000 0.234
Al 0.000 0.000 0.766
Al 0.500 0.500 0.248
Al 0.500 0.500 0.752
O 0.000 0.000 0.000
O 0.000 0.240 0.270
O 0.000 0.240 0.730
O 0.000 0.500 0.000
O 0.000 0.500 0.500
O 0.000 0.760 0.270
O 0.000 0.760 0.730
O 0.240 0.000 0.270
O 0.240 0.000 0.730
O 0.263 0.500 0.250
O 0.263 0.500 0.750
O 0.500 0.000 0.000
O 0.500 0.000 0.500
O 0.500 0.263 0.250
O 0.500 0.263 0.750
O 0.500 0.737 0.250
O 0.500 0.737 0.750
O 0.737 0.500 0.250
└──

Medicare 4 All Newsletter May Issue

The Million Letter Campaign

Be informed and sign up!             Be heard above the 900 paid lobbyists against health care reform!

Regardless of the Affordable Health Care Act and a mandate, the 2 trillion dollar cost of health care needs reduced and more people need included in the system. The relationship between the government and the “for profit” industries, which are adding to the enormity of the national debt, not your health care it- self, needs to end. Pressure from grass root organizing during a campaign year is a real opportunity to move President Obama to take more extensive action on health care.

Have you signed up to help promote Medicare for all at www.medicareforall.org? Be informed; you can find a wealth of education on house resolution HR 676 and details about the Million Letter Campaign at the website. Show Congress there is a political will for HR 676, Single Payer Health Care.

Debunking Myths

Myth #1, “It will cost too much!”

Polls show that 50 percent of Americans support HR676, Single Payer Health Care. The other half of the country is influenced by the many wrong ideas circulating about the universal health care systems. It is important to be armed with the correct information when confronted with this misinformation. 

For instance, it is often stated that Canada has a terrible system that increase tax rates to an astronomical proportion. The fact is that thirty-one cents out of every US dollar goes to the over head costs of administering health care and to pay CEO bonuses in the amount of tens of millions of dollars each year for a failing system. In Canada only one cent from every dollar goes to over head costs. Also, in Canada only 10 percent of the GPD goes toward health care and no one is denied care. In America, 17 percent of the GDP goes to health care and only eighty-five percent of the citizens are provided health care. Here is the biggest myth of all that people love to tell, taxes will be so increased that we will hate it.  After taxes were all averaged out Canadians only pay .1% more, after having a lower overhead and GDP, compared to Americans. With a Single Payer system in the US, everyone would be included, from the cradle to the grave, including long term care, regardless of income, job status, and age or pre-existing conditions.

 As it is, we allow 18,000 people to die each year because they have no health insurance. Just one CEO’s salary from the United Health Group in 2005 could have insured twice as many people. His salary was the 3rd largest paid in this country, 122.7 million dollars that year. There are over a thousand insurance companies in the US.

There is a faction in this country that cares more about profit than people.  Americans are not heartless; they need to know where the propaganda is coming from and to debrief themselves of all the misinformation circulating by those who want to protect the investment and profit machines. Health care is a human right and service not a commodity for investment and profit.   

Myth #2, “It is socialized medicine!”

 With improved and expanded Medicare for all, HR 676, doctors will remain independent in private practice and hospitals will be operated by private or non-profit charitable groups. You will choose your own doctors which will increase competition between providers, not an insurance company deciding where you will receive care among their providers.

The improvement will come from providers sending their claims to one “not for profit place” to get paid for the health care service they provided, instead of a thousand of different insurance companies. 

Talking points

47- 50 million people are uninsured in the US. If all the uninsured resided in one place, they would occupy the largest state in the union, CA and the state of Ohio. Another 50 million are underinsured. The cost of health care is going up so much employers are not able to keep up with the cost of providing coverage for employees. The average price tag for the family policy is $12,000 a year. Since 1990 the cost of insurance has gone up 131 percent; the cost of drugs has gone up 500 percent.

Excuses, Excuses, excuses !

The drug companies claim they have to cover the cost of research and development though increased cost of medications. The real truth is pharmaceutical companies spend billions more on unnecessary marketing. Under improved Medicare, the government will have tremendous purchasing power to negotiate lower prices from the pharmaceutical companies.  
                                  MARKETING                    RESEARCH & DEVELOPMENT

Pfizer                         $16.90 billion                                  $ 7.68 billion                

Hoffman La Roche      $  7.24     "                                           $ 4.01   "
Johnson& Johnson      $15.86    "                                            $ 5.20   "
GlaxoSmithKline          $12.93    "                                            $ 5.20   ''                                                          


What Politicians Don't Want You To Know

The best comprehensive and affordable health care system for the US would be to expand and improve Medicare for all.  A Single Payer system such as HR676 modeled after the success of Medicare, addresses the social injustice from the moral and pragmatic perspective. The private insurers bureaucratic night mare undermines health care with hundreds of insurance plans, each with their own rules creating costly administrative waste. More than 25 % of that waste could be eliminated, saving the public 4 billion dollars each year. There is no lack of money to fund a system that would provide basic fundamental health care to every US citizen, that they are entitled to, regardless of their income, employment or health status, age or gender. These links provide knowledge every citizen needs to be informed about the health care plan special interest groups, lobbyists and politicians do not want you to know about.

www.HR676.org                                       www.unionsforsinglepayerHR676.org                                                                                                                                                                                           www.healthcare-now.org             http://guaranteedhealthcare4all.org                                                                                       www.businesscoaliton.net            www.wearetheunisured.org